**Contents**
........
1.
Computed, not measured: a cluster of 2 separate species, C4H12NO2 in total at a distorted geometry, with the ωB97M-V functional and the def2-TZVPD basis.

Output
LUMO level (alpha / beta): -0.14 / -0.25 eV
2S+1: 2
HOMO (alpha / beta): -2.587 / -6.790 eV
frontier orbital gap (alpha / beta): 2.5 / 6.5 eV

Positions of all 19 atoms, in Å:
C -0.430 -0.389 -1.267
C -0.355 -0.056 0.159
C -0.246 -1.261 1.132
C 1.058 -1.921 0.890
O 1.793 -1.405 0.070
N -1.689 0.819 0.437
H -0.755 0.611 -1.822
H -1.043 -1.272 -1.535
H 0.556 -0.555 -1.700
H 0.566 0.557 0.292
H -1.000 -2.169 1.087
H -0.228 -0.790 2.172
H 1.340 -2.834 1.490
H -2.115 1.128 -0.379
H -1.524 1.598 1.060
H -2.324 0.128 0.863
H 1.543 2.922 -1.460
H 2.860 2.615 -0.623
O 1.993 2.274 -0.865


2.
Computed, not measured: a cluster of 3 separate species, C4H12NO2 in total at a distorted geometry, with the ωB97M-V functional and the def2-TZVPD basis.

Output
LUMO level: -9.14 eV
total charge: +1
HOMO: -12.315 eV
frontier orbital gap: 3.2 eV

Positions of all 19 atoms, in Å:
O 0.121 0.143 0.819
C -0.928 0.029 1.393
C -2.266 -0.028 0.819
C -2.527 -0.397 -0.579
C -2.562 0.875 -1.464
N 4.646 0.462 -0.200
H -0.940 -0.008 2.496
H -3.088 -0.049 1.534
H -1.732 -1.098 -0.860
H -3.500 -0.872 -0.669
H -2.919 0.700 -2.477
H -1.710 1.499 -1.205
H -3.420 1.508 -1.162
H 4.132 1.006 -0.870
H 5.089 1.004 0.521
H 5.362 -0.110 -0.618
H 2.792 -1.376 0.504
H 1.304 -1.400 1.005
O 2.146 -1.888 1.011


3.
Computed, not measured: a cluster of 3 separate species, C4H12NO2 in total at a distorted geometry, with the ωB97M-V functional and the def2-TZVPD basis.

Output
LUMO level: -4.83 eV
total charge: +1
HOMO: -14.039 eV
frontier orbital gap: 9.2 eV

Positions of all 19 atoms, in Å:
C 1.427 0.226 2.045
C 0.498 0.680 0.945
C -0.269 1.763 0.950
C 0.789 -1.418 -0.385
N 0.221 -0.286 -0.080
H 1.524 -0.795 2.339
H 2.462 0.567 1.822
H 1.272 0.750 2.986
H -1.006 2.003 0.197
H -0.126 2.479 1.714
H 0.736 -1.938 -1.330
H 1.510 -1.769 0.375
H -0.363 0.033 -0.860
H 0.222 -0.073 -3.918
H 0.027 -1.076 -2.842
O -0.117 -0.139 -2.994
H -2.722 0.050 -0.227
H -2.418 -0.893 0.982
O -2.033 -0.464 0.214


4.
Computed, not measured: a cluster of 2 separate species, C4H12NO2 in total at a distorted geometry, with the ωB97M-V functional and the def2-TZVPD basis.

Output
LUMO level: -3.42 eV
total charge: +1
HOMO: -13.857 eV
frontier orbital gap: 10.4 eV

Positions of all 19 atoms, in Å:
C -0.786 0.540 0.415
C -1.371 -0.307 -0.775
C -0.384 -1.378 -1.193
C 0.977 -1.118 -1.873
O 1.372 0.038 -1.883
N -0.169 1.861 0.020
H -0.146 -0.235 0.800
H -1.585 0.730 1.037
H -1.545 0.455 -1.573
H -2.292 -0.904 -0.483
H -0.809 -2.116 -1.895
H -0.105 -1.815 -0.264
H 1.438 -1.857 -2.478
H 0.280 1.664 -0.967
H -0.955 2.548 -0.233
H 0.551 2.337 0.649
H 2.070 0.629 3.614
H 1.914 -0.925 3.802
O 1.544 -0.146 3.281


5.
Computed, not measured: a cluster of 2 separate species, C4H12NO2 in total, with the ωB97M-V functional and the def2-TZVPD basis.

Output
LUMO level: -3.66 eV
total charge: +1
HOMO: -13.528 eV
frontier orbital gap: 9.9 eV

Positions of all 19 atoms, in Å:
O 1.135 -3.111 2.742
C 1.093 -2.053 2.196
O 0.535 -1.923 0.948
C 1.622 -0.755 2.723
H 0.279 -2.832 0.701
H 1.436 0.057 2.021
H 2.700 -0.860 2.836
H 1.204 -0.515 3.694
C 0.016 1.061 -0.747
N -1.169 0.576 -1.530
C -1.635 1.535 -2.581
H 0.193 0.340 0.048
H 0.868 1.117 -1.416
H -0.223 2.034 -0.327
H -1.926 0.362 -0.878
H -0.912 -0.308 -1.972
H -2.039 2.412 -2.086
H -2.398 1.056 -3.184
........

**To do**
The reader should count the lines earlier on that contain the word "functional" and give the number alone.

**Outcome**
5